
Comfort Food



[Here the article breaks off for records of molecules]
........
(1)
The following is a quantum chemistry calculation of 11 unconnected molecules or ions with the total composition C11H44O11, from the Open Molecules 2025 dataset.

Atoms and positions in Å:
C (-1.54265, -2.25446, 2.89784)
O (-2.38936, -2.51937, 3.95674)
H (-1.55539, -3.11558, 2.22969)
H (-1.84149, -1.33604, 2.39257)
H (-0.57278, -2.07096, 3.36018)
H (-1.91272, -2.53034, 4.78997)
C (-3.40802, -3.30776, -0.86617)
O (-3.30491, -3.79179, -2.16478)
H (-4.31417, -2.70935, -0.77188)
H (-3.58731, -4.22106, -0.29886)
H (-2.52811, -2.73862, -0.56628)
H (-4.20568, -3.90845, -2.47559)
C (0.67177, 2.58331, -4.17388)
O (1.55938, 1.68399, -4.69190)
H (0.61908, 3.65241, -4.37968)
H (-0.35935, 2.31490, -4.40378)
H (0.82109, 2.67253, -3.09785)
H (1.52097, 1.82093, -5.64130)
C (3.43700, -0.17124, 2.80500)
O (4.43596, 0.18954, 1.90055)
H (3.63639, -1.05439, 3.41196)
H (3.36729, 0.61948, 3.55199)
H (2.40952, -0.22000, 2.44444)
H (4.29950, 1.12722, 1.74647)
C (-3.89896, -0.06373, -2.94982)
O (-2.59093, 0.35914, -2.77553)
H (-3.98519, -0.14938, -4.03302)
H (-4.20008, -1.02894, -2.54265)
H (-4.57509, 0.70474, -2.57508)
H (-2.29153, 0.34442, -1.86352)
C (1.54844, 4.35095, -0.99062)
O (1.87528, 3.04674, -0.49944)
H (0.78979, 4.47370, -1.76359)
H (1.25878, 5.10841, -0.26231)
H (2.46517, 4.65994, -1.49284)
H (2.21225, 2.53345, -1.23740)
C (-0.70064, 0.49863, 5.25106)
O (0.02567, 0.42492, 4.04974)
H (-0.08806, 0.26399, 6.12157)
H (-0.96960, 1.54916, 5.36132)
H (-1.62074, -0.08292, 5.30864)
H (-0.50943, 0.99775, 3.49553)
C (-0.87830, 2.59097, 1.37394)
O (-1.51326, 2.25230, 2.58089)
H (0.10834, 2.13547, 1.45857)
H (-1.49642, 2.27595, 0.53324)
H (-0.70512, 3.66200, 1.26911)
H (-2.44900, 2.46210, 2.53648)
C (3.32923, -0.07987, -1.65760)
O (2.40924, 0.83377, -2.24529)
H (4.27155, 0.10141, -2.17457)
H (3.46902, 0.12760, -0.59670)
H (3.05255, -1.12598, -1.78875)
H (2.40590, 0.96257, -3.19661)
C (1.09665, -4.01914, -0.74502)
O (1.78608, -4.28082, -1.94718)
H (0.46914, -3.13068, -0.81550)
H (0.40486, -4.77482, -0.37291)
H (1.89373, -3.81465, -0.03021)
H (1.12172, -4.29235, -2.64006)
C (0.18556, -0.33162, 0.22815)
O (-0.21069, 0.30585, -0.94881)
H (1.23219, -0.15284, 0.47451)
H (-0.43378, 0.09423, 1.01755)
H (-0.08313, -1.38676, 0.27901)
H (0.53257, 0.87921, -1.14983)

## Properties
- Orbital gap: 10.242 eV
- SMILES: CO.CO.CO.CO.CO.CO.CO.CO.CO.CO.CO
- Total charge: 0
- LUMO energy: 0.0171 Eh
- Multiplicity: 1
- DFT total energy: -34636.829 eV
- Energy relative to the best compared isomer or geometry (same formula, charge and spin): 82.4 kcal/mol

---

(2)
The following is a quantum chemistry calculation of a molecular structure, C27H26BrNPPt, from the Open Molecules 2025 dataset.

Atoms and positions in Å:
Pt (0.70324, 1.35349, 0.52131)
C (-0.61386, -3.74511, 0.35891)
C (-1.42606, -3.13451, -0.73839)
C (-2.41366, -3.87881, -1.36919)
C (-3.18106, -3.34771, -2.39219)
C (-2.97146, -2.04711, -2.81839)
C (-1.99366, -1.28721, -2.21019)
C (-1.22326, -1.82201, -1.17859)
........


Expert Fighter (205)

Expert Hunter (180)

11 Years
Dragon Mod

Samhain 2022Statue 2 WorshipThe Ooze ParticipantThe Ooze - Variation 3Christmas 2019Treat 2019
12-21-2019, 12:58 AM

The world almost seemed eerily quiet since after the volcano erupted. Before, it was like the entire world was screaming and all the animals were running for their lives, including him when he first arrived in the southern lands. And now? While it wasn't quite like a wasteland, prey had been scarce and everything seemed to have fallen silent. It was so quiet in fact, he could actually hear his companions wings when he flapped above him. He glanced upward to find his companion circling above him as he scanned the terrain, though there didn't seem to be any sign of prey anywhere. Cloud had started to grow somewhat thin, but he had managed to catch enough to keep him going so far. Up North, although the climate was harsher, at least he knew where to find fatty prey. And to top it off, the volcano hadn't touched those lands...but down this way? It felt harder to find decent prey to hunt...the eruption had done a great deal of damage and the ash that coated the lands seemed to suffocate the ground. It was possible that a lot of the prey animals had moved to more verdant lands, had been hard to track them since their usual patterns and habits had been thrown out of balance.

As he walked in silence, he eventually heard his companion call out and veer towards his right. Pausing, Cloud sniffed the air but could only really smell the stale ash and debris that had been thrown this way. Frowning, he quietly followed the bird through the gully, the male glancing upward now and then to ensure he was going the right way. He was curious as to what his partner had found...was it prey? He hoped so. His stomach grumbled with hunger, and with the band roaming around and not staying in one particular place, he found himself getting hungry more often. He kind of couldn't wait to return to his pack. To see his brother and his nieces and nephews and be around familiar faces again...but until then, he would fulfill his duty and aid the band like he promised.

As he emerged from the fronds, he soon spotted a familiar cream form several yards from his position, and his eyes widened in disbelief for a moment. "Medea?" He hadn't expected to see her again. Though he barely knew her, he was actually glad he had come across her. She was a familiar face in this desolate place, but as his relief washed over him, he noticed she seemed...unhappy? Pushing through the foliage, he approached the woman. "You have absolutely no idea what a relief it is to see a familiar face," He usually wouldn't have been one to say something like that to someone other than his own family, but being in a band with wolves (other than Dragon) that he wasn't familiar with had sent his social anxiety skyrocketing. They were different than what he was used to.

Glancing down, he noticed the dried vines and his head tilted for a moment. What was she doing with th-- oh! Duh. He did notice the scent of rabbit, though there weren't many recent scent trails, he figured they were likely hiding underground after the world went to shit. "Would you like some help?" He offered a half smile, the male feeling somewhat comfortable in her presence. It was better than being among a group of fighty viking wolves, anyway.

Word Count: 579

Walk, "Talk" Think